Given
____________
## AlMoSe2 (PBE-GGA)

Data for a relaxed structure of AlMoSe2.

Properties
space-group type = Imm2 (44)
DOS at the Fermi energy = 2.3 states/eV per cell
E_form (uncorrected) = 0.08 eV/atom

abc: 5.4661 5.4661 5.4661
angles: 146.43 127.40 63.86
With the nearest neighbours (Å) after each atom.
Positions (direct):
Mo 0.2370 0.7370 0.5000  2 Se 2.53
Al 0.5039 0.5039 0.0000  6 Se 2.66-2.90, 2 Mo 2.94
Se 0.0245 0.0245 0.0000  2 Mo 2.53
Se 0.7346 0.2346 0.5000  2 Al 2.66, 4 Mo 2.89

## AlMoSe2 (PBE-GGA)

Data for a relaxed structure of AlMoSe2.

Properties
space-group type = P4/mmm (123)
DOS at the Fermi energy = 2.3 states/eV per cell
E_form (uncorrected) = -0.06 eV/atom

abc: 3.1399 3.1399 7.3275
angles: 90.00 90.00 90.00
With the nearest neighbours (Å) after each atom.
Positions (direct):
Mo 0.5000 0.5000 0.7500  8 Se 2.70
Al 0.5000 0.5000 0.2500  8 Se 3.07, 4 Al 3.14
Se 0.0000 0.0000 0.9602  4 Mo 2.70
Se 0.0000 0.0000 0.5398  4 Mo 2.70

## AlMoSe3 (PBE-GGA)

Data for a relaxed structure of AlMoSe3.

Properties
space-group type = Pm-3m (221)
DOS at the Fermi energy = 2.9 states/eV per cell
relative energy among the computed polymorphs = 345 meV/atom
E_form (uncorrected) = 0.53 eV/atom

abc: 4.8401 4.8401 4.8401
angles: 90.00 90.00 90.00
With the nearest neighbours (Å) after each atom.
Positions (direct):
Mo 0.5000 0.5000 0.5000  12 Se 3.42
Al 0.0000 0.0000 0.0000  6 Se 2.42
Se 0.0000 0.5000 0.0000  2 Al 2.42
Se 0.0000 0.0000 0.5000  2 Al 2.42
Se 0.5000 0.0000 0.0000  2 Al 2.42

## AlMo2Se2 (PBE-GGA)

Data for a relaxed structure of AlMo2Se2.

Properties
space-group type = I4/mmm (139)
DOS at the Fermi energy = 3.7 states/eV per cell
relative energy among the computed polymorphs = 155 meV/atom
E_form (uncorrected) = 0.37 eV/atom

abc: 4.0015 4.0015 6.5017
angles: 72.08 72.08 90.00
With the nearest neighbours (Å) after each atom.
Positions (direct):
Mo 0.3866 0.3866 0.2268  4 Se 2.56, 1 Mo 2.65
Mo 0.6134 0.6134 0.7732  4 Se 2.56, 1 Mo 2.65
Al 0.0000 0.0000 0.0000  8 Mo 3.13
Se 0.7500 0.2500 0.5000  4 Mo 2.56, 4 Se 2.83
Se 0.2500 0.7500 0.5000  4 Mo 2.56, 4 Se 2.83

## AlMoSe (PBE-GGA)

Data for a relaxed structure of AlMoSe.

Properties
space-group type = P3m1 (156)
DOS at the Fermi energy = 2.3 states/eV per cell
relative energy among the computed polymorphs = 0 meV/atom
E_form (uncorrected) = -0.18 eV/atom

abc: 3.1710 3.1710 5.9491
angles: 90.00 90.00 120.00
With the nearest neighbours (Å) after each atom.
Positions (direct):
Mo 0.3333 0.6667 0.3463  3 Se 2.52, 3 Al 2.69
Al 0.0000 0.0000 0.0153  3 Mo 2.69, 3 Se 2.89
Se 0.6667 0.3333 0.6384  3 Mo 2.52

## Al3MoSe (PBE-GGA)

Data for a relaxed structure of Al3MoSe.

Properties
space-group type = Pm-3m (221)
DOS at the Fermi energy = 4.2 states/eV per cell
relative energy among the computed polymorphs = 407 meV/atom
E_form (uncorrected) = 1.17 eV/atom

abc: 4.7052 4.7052 4.7052
angles: 90.00 90.00 90.00
With the nearest neighbours (Å) after each atom.
Positions (direct):
Mo 0.5000 0.5000 0.5000  12 Al 3.33
Al 0.0000 0.5000 0.0000  2 Se 2.35
Al 0.0000 0.0000 0.5000  2 Se 2.35
Al 0.5000 0.0000 0.0000  2 Se 2.35
Se 0.0000 0.0000 0.0000  6 Al 2.35

~~~~~

The following is a PBE-GGA calculation of crystalline LaAgS2 at its relaxed geometry, from Alexandria via LeMat-Bulk.

Structure (POSCAR):
```
LaAgS2
1.0
7.1789 0.0000 0.0000
0.0000 3.9752 0.0000
0.0000 0.0000 12.8584
La Ag S
4 4 8
direct
0.1362 0.2500 0.1500 La
0.3638 0.7500 0.6500 La
0.6362 0.2500 0.3500 La
0.8638 0.7500 0.8500 La
0.0993 0.7500 0.4237 Ag
0.4007 0.2500 0.9237 Ag
0.5993 0.7500 0.0763 Ag
0.9007 0.2500 0.5763 Ag
0.0954 0.2500 0.7391 S
0.2016 0.7500 0.9870 S
0.2984 0.2500 0.4870 S
0.4046 0.7500 0.2391 S
0.5954 0.2500 0.7609 S
0.7016 0.7500 0.5130 S
0.7984 0.2500 0.0130 S
0.9046 0.7500 0.2609 S
```

Formation energy from raw total energies, eV per atom: -1.40
V, Å³/atom: 22.93
Final energy, eV per atom: -5.409
Theoretical density, g cm⁻³: 5.6
____________

To do
Say how many lines of the material further above hold the word "AlMoSe", as a bare number.

Written answer
2